Wanted:
Filter the lines underneath: keep the lines with the word "peak", please.

Input:
# 1
Simulated XRD peak list
Compound: Nd14Zn43Sn3
Radiation: Cu Kα
Structure: the GGA-PBE geometry in the Materials Project

Largest 10 diffraction maxima, low angle first, 5° ≤ 2θ ≤ 70°:
| 2θ (°) | I_rel |
| --- | --- |
| 30.98 | 68 |
| 32.28 | 52 |
| 34.35 | 46 |
| 34.74 | 100 |
| 35.64 | 27 |
| 36.32 | 37 |
| 36.79 | 48 |
| 37.53 | 25 |
| 38.18 | 31 |
| 40.33 | 100 |

Structure:
```
Nd14Zn43Sn3
1.0
15.4867 0.0000 0.0000
0.0000 4.4724 0.0000
-0.0353 0.0000 17.3234
Nd Zn Sn
14 43 3
Cartesian
0.0000 0.0000 0.0000
0.0791 2.2362 4.7556
1.2619 0.0000 9.9230
2.5792 0.0000 14.1917
3.9193 0.0000 1.0951
5.1034 2.2362 6.2743
5.2113 0.0000 11.0380
7.7074 0.0000 2.3700
7.7847 2.2362 14.9495
9.0161 0.0000 9.7719
10.3326 0.0000 5.5293
11.6708 0.0000 1.2507
12.8408 2.2362 13.4211
12.9485 0.0000 8.6771
0.1990 2.2362 15.1012
0.2900 0.0000 6.9111
0.3154 2.2362 12.4904
1.4232 2.2362 1.7815
1.4716 0.0000 3.0788
2.0577 2.2362 7.2227
2.2663 2.2362 16.6446
2.5929 0.0000 5.5161
3.1081 2.2362 3.8093
3.7148 0.0000 7.9572
3.7973 2.2362 9.1762
4.7044 2.2362 15.9070
4.8968 0.0000 4.1109
5.0282 2.2362 13.3216
5.6163 2.2362 3.0633
5.6913 0.0000 14.3054
6.3633 2.2362 0.6439
6.4391 0.0000 8.0591
6.4730 0.0000 16.7255
6.5552 2.2362 9.3087
7.2219 0.0000 5.6349
7.3041 2.2362 11.7291
7.8887 2.2362 4.6452
8.0223 0.0000 12.7817
8.0766 2.2362 7.2170
9.1254 2.2362 0.5110
9.1795 0.0000 16.6061
9.7951 2.2362 12.4741
10.3200 0.0000 14.1790
10.8419 2.2362 15.8835
11.4566 0.0000 11.7416
11.5391 2.2362 10.5261
12.5920 2.2362 3.8219
12.6170 0.0000 15.5860
12.7825 2.2362 6.3942
13.3367 2.2362 16.6369
13.4562 0.0000 5.4059
14.1204 2.2362 1.7261
14.1704 0.0000 11.6383
14.2404 0.0000 2.9804
14.2999 2.2362 10.3835
14.9586 0.0000 14.0725
15.0541 2.2362 7.9729
2.8630 2.2362 11.7239
10.0558 2.2362 3.0487
10.6127 2.2362 7.9763
```

# 2
Simulated XRD peak list
Compound: Sr3Nd
Radiation: Cu Kα
Structure: the GGA-PBE geometry in the Materials Project

Largest 10 diffraction maxima, low angle first, 5° ≤ 2θ ≤ 70°:
| 2θ (°) | I_rel |
| --- | --- |
| 18.38 | 4 |
| 25.11 | 23 |
| 27.07 | 26 |
| 28.58 | 100 |
| 37.25 | 16 |
| 44.23 | 20 |
| 48.78 | 23 |
| 52.63 | 24 |
| 53.51 | 17 |
| 67.94 | 8 |

Structure:
```
Sr3Nd
1.0
8.1914 0.0000 0.0000
-4.0957 7.0940 0.0000
0.0000 0.0000 6.5874
Sr Nd
6 2
Cartesian
0.0000 2.4380 1.6469
-1.9844 5.8750 1.6469
2.1114 1.2190 4.9406
1.9844 5.8750 1.6469
6.0801 1.2190 4.9406
4.0957 4.6560 4.9406
0.0000 4.7293 4.9406
4.0957 2.3647 1.6469
```

# 3
Simulated XRD peak list
Compound: NdTa3
Radiation: Cu Kα
Structure: the GGA-PBE geometry in the Materials Project

Largest 4 diffraction maxima, low angle first, 5° ≤ 2θ ≤ 70°:
| 2θ (°) | I_rel |
| --- | --- |
| 22.20 | 1 |
| 36.65 | 100 |
| 52.80 | 18 |
| 65.98 | 36 |

Structure:
```
NdTa3
1.0
0.0000 3.4679 3.4679
3.4679 0.0000 3.4679
3.4679 3.4679 0.0000
Nd Ta
1 3
Cartesian
0.0000 0.0000 0.0000
1.7340 1.7340 1.7340
3.4679 3.4679 3.4679
5.2019 5.2019 5.2019
```

# 4
Simulated XRD peak list
Compound: TbNd3
Radiation: Cu Kα
Structure: the GGA-PBE geometry in the Materials Project

Largest 10 diffraction maxima, low angle first, 5° ≤ 2θ ≤ 70°:
| 2θ (°) | I_rel |
| --- | --- |
| 28.14 | 23 |
| 29.74 | 27 |
| 31.91 | 100 |
| 41.40 | 16 |
| 49.80 | 19 |
| 54.17 | 22 |
| 59.09 | 23 |
| 60.38 | 16 |
| 66.70 | 4 |
| 69.22 | 4 |

Structure:
```
TbNd3
1.0
7.3238 0.0000 0.0000
-3.6619 6.3426 0.0000
0.0000 0.0000 6.0073
Tb Nd
2 6
Cartesian
0.0000 4.2284 1.5018
3.6619 2.1142 4.5055
0.0000 2.1219 4.5055
-1.8243 5.2817 4.5055
1.8376 1.0610 1.5018
1.8243 5.2817 4.5055
5.4862 1.0610 1.5018
3.6619 4.2207 1.5018
```

# 5
Simulated XRD peak list
Compound: TbNd
Radiation: Cu Kα
Structure: the GGA-PBE geometry in the Materials Project

Largest 10 diffraction maxima, low angle first, 5° ≤ 2θ ≤ 70°:
| 2θ (°) | I_rel |
| --- | --- |
| 28.35 | 23 |
| 30.09 | 26 |
| 32.19 | 100 |
| 41.82 | 16 |
| 50.20 | 19 |
| 54.78 | 22 |
| 59.65 | 23 |
| 60.89 | 16 |
| 62.56 | 3 |
| 67.34 | 4 |

Structure:
```
TbNd
1.0
3.6346 0.0000 0.0000

Worked solution:
Simulated XRD peak list
Simulated XRD peak list
Simulated XRD peak list
Simulated XRD peak list
Simulated XRD peak list